Ron Shelvin @ Forbes
The Rise of is “a tour de force describing the technology trends that are shaping society today and will do so for the next 20 years”

Kevin J. Anderson
New York Times Bestselling Co-Author of Dune: House Atreides. @TheKJA
“The Rise of Technosocialism is incisive, thought-provoking, and brings disparate transformative factors together to give us a set of “Lady or the Tiger?” doors to choose from—and it is up to the imaginative and attuned individuals to make the right choice for humanity’s future.”

David Orban
Chairman of the Supervisory Council At @Linkedin
“I am sure the Rise of Technosocialism will be very successful and deservedly so.”
Listen to David chat with Brett on his “Searching for the Question’ podcast

Rachel Grimes
Past President, International Federation of Accountants (IFAC) @Linkedin
‘The Rise of Technosocialism by Brett King and Richard Petty provides a one-stop shop that identifies key issues, and the facts, impacting our planet and society, but more importantly a pathway to improvement. This book should be a reference point in every school, university, and home!“

Tommy E Barrie
Past Chair of the American Institute of CPAs,
EVP of Leadership Development at Succession Institute, LLC @Linkedin
With The Rise of Technosocialism the dynamic duo of King and Petty brilliantly provides vision and tactics in an era of great uncertainty to achieve greater parity for all in the world of technology, and an understanding of the impact that this will have on the sustainability of our future economy.

Penny Crosman
Executive Editor Technology, American Banker @pennycrosman
“Brett King and Richard Petty make a strong case for the need to reform capitalism and replace it with what they call technosocialism: a future in which most human labor is automated and technology advancements make basic services like housing, healthcare, and education ubiquitous and low cost. They offer several ideas about how technology can be used to solve problems in government and the economy, including the use of AI to downsize government, the creation of smart infrastructure and food supply chains, and the provision of universal basic income to replace the paychecks lost to automation. Anyone concerned about the impact our current mode of government and technology trends are having on society will find much food for thought in this book.”

Robert Tercek
Award-Winning Author of Vaporized @superplex
“The Rise of Technosocialism is exactly the right book for this moment in history. The clear strategic vision and fact-based arguments in Technosocialism offer the perfect antidote to the weak leadership, political gridlock and unequal economic opportunity that define our current condition. If we want to break out of this logjam, we all need to apply the insights in Technosocialism right now.”

Jay Samit
Bestselling Author of Disrupt You and Future Proofing You @JaySamit
“The Rise of Technosocialism is not just a timely road map for anyone trying to navigate the confluence of changes impacting society, but a detailed primer for creating a more equitable and sustainable world. Brett King and Dr. Richard Petty deliver a compelling and optimistic plan for humanity to move forward together as a species.”

Ross Dawson
Futurist and Bestselling Author of Living Networks @rossdawson
“In The Rise of Technosocialism Brett King and Richard Petty masterfully lay out the extraordinary perils of blindly continuing our current economic system, and the massive opportunity we have to create a better future for humanity by transforming our social and economic structures. This book is required reading for anyone who cares about our common future.”

'''
[1]
The following is a PBE calculation of PmPr4Tl after structural relaxation, from the Alexandria database.

It has space group P4/mmm (No. 123), with a = 4.2649 Å, b = 4.2649 Å, c = 11.0655 Å, α = 90.00°, β = 90.00° and γ = 90.00°. Symmetry generates all atoms from Pm at (0.0000, 0.0000, 0.0000), Pr at (0.0000, 0.0000, 0.3506), Pr at (0.5000, 0.5000, 0.1672) and Tl at (0.5000, 0.5000, 0.5000).

The value obtained for the offset from the most stable computed form is 17 meV/atom. The value obtained for the formation energy is -0.26 eV/f.u.

***

[2]
The following is a PBE calculation of Pm8PrTl2 after structural relaxation, from the Alexandria database.

It has space group C2/m (No. 12), with a = 17.4604 Å, b = 6.7796 Å, c = 6.2412 Å, α = 90.00°, β = 103.04° and γ = 90.00°. Symmetry generates all atoms from Pm at (0.0039, 0.0000, 0.2428), Pm at (0.1311, 0.5000, 0.0813), Pm at (0.1745, 0.2394, 0.6183), Pr at (0.0000, 0.5000, 0.5000) and Tl at (0.1773, 0.0000, 0.1046).

The value obtained for the offset from the most stable computed form is 53 meV/atom. The value obtained for the formation energy is -0.57 eV/f.u.

***

[3]
The following is a PBE calculation of Pm5PrTl2 after structural relaxation, from the Alexandria database.

It has space group Immm (No. 71), with a = 3.7494 Å, b = 10.8700 Å, c = 12.7709 Å, α = 90.00°, β = 90.00° and γ = 90.00°. Symmetry generates all atoms from Pm at (0.0000, 0.0000, 0.0000), Pm at (0.0000, 0.2777, 0.3625), Pr at (0.0000, 0.5000, 0.0000) and Tl at (0.0000, 0.0000, 0.2683).

The value obtained for the offset from the most stable computed form is 75 meV/atom. The value obtained for the formation energy is -1.04 eV/f.u.

***

[4]
The following is a PBE calculation of PmPr4Tl5 after structural relaxation, from the Alexandria database.

It has space group P4/mmm (No. 123), with a = 3.9137 Å, b = 3.9137 Å, c = 19.6938 Å, α = 90.00°, β = 90.00° and γ = 90.00°. Symmetry generates all atoms from Pm at (0.0000, 0.0000, 0.0000), Pr at (0.0000, 0.0000, 0.1979), Pr at (0.0000, 0.0000, 0.3993), Tl at (0.5000, 0.5000, 0.0968), Tl at (0.5000, 0.5000, 0.2986) and Tl at (0.5000, 0.5000, 0.5000).

The value obtained for the formation energy is -3.94 eV/f.u.

***

[5]
The following is a PBE calculation of Pm4Pr5Tl after structural relaxation, from the Alexandria database.

It has space group P4/mmm (No. 123), with a = 4.2987 Å, b = 4.2987 Å, c = 18.4298 Å, α = 90.00°, β = 90.00° and γ = 90.00°. Symmetry generates all atoms from Pm at (0.0000, 0.0000, 0.1018), Pm at (0.0000, 0.0000, 0.3041), Pr at (0.5000, 0.5000, 0.0000), Pr at (0.5000, 0.5000, 0.2047), Pr at (0.5000, 0.5000, 0.4108) and Tl at (0.0000, 0.0000, 0.5000).

The value obtained for the offset from the most stable computed form is 0 meV/atom. The value obtained for the formation energy is 0.13 eV/f.u.

***

[6]
The following is a PBE calculation of Pm4Pr5Tl after structural relaxation, from the Alexandria database.
'''

Mike Walsh
Author of The Algorithmic Leader: How to be smart
when machines are smarter than you @mikewalsh
“In their new book Brett King and Richard Petty ask a dangerous question: what kind of world do we want to live in? In presenting four scenarios that range from the mildly unsettling to the downright dystopian, they make the case that even in a time of accelerating technologies, there is nothing certain about the future we end up in. The Rise of Technosocialism is exactly the book we all need to read today–if for no other reason than to know how to build a better tomorrow.”

Brian Solis
Digital Anthropologist, Futurist, 8x Bestselling Author @briansolis
“If you think work, life, and world economies can continue without intervention, you’re not alone. But the reality is that nothing is permanent. Everything is either disrupted by outside factors or improved from within. Authors King and Petty help us understand the role we play in the latter.”

Rocky Scopelliti
Futurologist and Author of Youthquake 4.0 and Australia 2030 @rockyscopelliti
“For the past 17 years my research has centred on the question of ‘how do we increase our capacity to adapt to a world of accelerated change?’ This question, unlike a closed puzzle where we know what the answer will look like before we begin, or an open puzzle where we need to figure out the answer as we go, this question behaves more like a mystery that keeps us on the edge of our seats and induces our curiosity and fascination every step of the way, and just when we think we know the answer, another mystery emerges. The Rise of Technosocialism is a brilliant maze of mysteries and will inspire you to decide which road to take to create the social, cultural, economic and technological future you desire.”

Henri Arslanian
Bestselling Author of The Future of Finance & Adjunct Professor at the University of Hong Kong @HenriArslanian
“Brett and Richard do a fantastic job of making us think about the impact of technology on the future of humanity. If you are looking for a book that will make you reflect on humanity’s purpose, challenge preconceived ideas around economics, and show you a different perspective, you will love Technosocialism.”

Richard Turrin
Bestselling Author of Cashless: China’s Digital Currency Revolution @richardturrin
“Brett King and Richard Petty’s view of the future is grounded in reality. This is not just futurists talking about flying cars, in this case they deliver practical preparation for a new world that we’re just entering. The two authors aggregate the major trends facing our world and put them into a realistic and readable account of how technology is going to change our world moving forward. From vaccines to digital currency all of these factors are going to play into a future where the fabric of society itself is transformed by digital technology.”
“The 21st century is going to be the most disruptive, contentious period humanity has ever lived through. It will challenge our most sacred ideologies around politics, economics and social constructs. It will force humanity to adapt in ways you can’t imagine…”